-- Wanted --
Echo the lines further below up to the one that holds "0.720", that line included.

-- File --
-- begin --
1.
Below is crystalline K2AlF5 at its relaxed geometry, with properties calculated at the PBE-GGA level.

POSCAR file:
```
K2AlF5
1.0
6.037 0.000 0.000
0.000 6.037 0.000
0.000 0.000 3.752
K Al F
2 1 5
Direct
0.000 0.500 0.500
0.500 0.000 0.500
0.000 0.000 0.000
0.788 0.788 0.000
0.788 0.212 0.000
0.212 0.788 0.000
0.000 0.000 0.500
0.212 0.212 0.000
```

Values from the calculation:
* volume: 17.1 A^3/atom
* energy of formation from the pure elements: -3514 meV/atom
* symmetry: P4/mmm

---

2.
Below is crystalline KAlF4 at its relaxed geometry, with properties calculated at the PBE-GGA level.

POSCAR file:
```
KAlF4
1.0
7.359 0.000 0.000
0.000 8.389 0.000
0.000 0.000 12.089
K Al F
8 8 32
Direct
0.250 0.575 0.605
0.250 0.075 0.895
0.750 0.425 0.395
0.750 0.925 0.105
0.250 0.627 0.250
0.250 0.127 0.250
0.750 0.373 0.750
0.750 0.873 0.750
0.496 0.131 0.582
0.004 0.631 0.918
0.996 0.869 0.418
0.504 0.369 0.082
0.504 0.869 0.418
0.996 0.369 0.082
0.004 0.131 0.582
0.496 0.631 0.918
0.505 0.095 0.428
0.995 0.595 0.072
0.005 0.905 0.572
0.495 0.405 0.928
0.495 0.905 0.572
0.005 0.405 0.928
0.995 0.095 0.428
0.505 0.595 0.072
0.499 0.121 0.728
0.001 0.621 0.772
0.999 0.879 0.272
0.501 0.379 0.228
0.501 0.879 0.272
0.999 0.379 0.228
0.001 0.121 0.728
0.499 0.621 0.772
0.511 0.339 0.567
0.989 0.839 0.933
0.011 0.661 0.433
0.489 0.161 0.067
0.489 0.661 0.433
0.011 0.161 0.067
0.989 0.339 0.567
0.511 0.839 0.933
0.750 0.117 0.585
0.750 0.617 0.915
0.250 0.883 0.415
0.250 0.383 0.085
0.250 0.134 0.571
0.250 0.634 0.929
0.750 0.866 0.429
0.750 0.366 0.071
```

Values from the calculation:
* volume: 15.5 A^3/atom
* energy of formation from the pure elements: -3645 meV/atom
* symmetry: Pnma

---

3.
Below is crystalline K2LiAlF6 at its relaxed geometry, with properties calculated at the PBE-GGA level.

POSCAR file:
```
K2LiAlF6
1.0
2.847 -4.931 0.000
2.847 4.931 0.000
0.000 0.000 13.931
K Li Al F
6 3 3 18
Direct
0.667 0.333 0.411
0.000 0.000 0.748
0.667 0.333 0.106
0.000 0.000 0.252
0.333 0.667 0.589
0.333 0.667 0.894
0.667 0.333 0.857
0.333 0.667 0.143
0.000 0.000 0.500
0.333 0.667 0.339
0.667 0.333 0.661
0.000 0.000 0.000
0.306 0.153 0.924
0.481 0.519 0.258
0.519 0.481 0.742
0.694 0.847 0.076
0.180 0.359 0.413
0.153 0.306 0.076
0.820 0.180 0.587
0.180 0.820 0.413
0.847 0.694 0.924
0.481 0.962 0.258
0.519 0.038 0.742
0.038 0.519 0.258
0.962 0.481 0.742
0.847 0.153 0.924
0.359 0.180 0.587
0.641 0.820 0.413
0.820 0.641 0.587
0.153 0.847 0.076
```

Values from the calculation:
* volume: 13.0 A^3/atom
* energy of formation from the pure elements: -3468 meV/atom
* symmetry: P-3m1

---

4.
Below is crystalline K2LiAlF6 at its relaxed geometry, with properties calculated at the PBE-GGA level.

POSCAR file:
```
K2LiAlF6
1.0
0.534 -2.872 4.827
4.573 -3.180 0.900
3.835 1.591 3.820
K Li Al F
2 1 1 6
Direct
0.250 0.250 0.250
0.750 0.750 0.750
0.500 0.500 0.500
0.000 0.000 0.000
0.769 0.769 0.231
0.231 0.769 0.769
0.231 0.231 0.769
0.769 0.231 0.769
0.231 0.769 0.231
0.769 0.231 0.231
```

Values from the calculation:
* volume: 12.7 A^3/atom
* energy of formation from the pure elements: -3467 meV/atom
* symmetry: Fm-3m

---

5.
Below is crystalline K2LiAlF6 at its relaxed geometry, with properties calculated at the PBE-GGA level.

POSCAR file:
```
K2LiAlF6
1.0
9.487 -2.858 0.000
9.487 2.858 0.000
8.626 0.000 4.874
K Li Al F
4 2 2 12
Direct
0.720 0.720 0.720
0.280 0.280 0.280
0.872 0.872 0.872
0.128 0.128 0.128
0.597 0.597 0.597
0.403 0.403 0.403
0.500 0.500 0.500
0.000 0.000 0.000
0.190 0.190 0.732
0.732 0.190 0.190
0.190 0.732 0.190
0.810 0.268 0.810
0.165 0.609 0.609
0.609 0.609 0.165
0.609 0.165 0.609
0.391 0.835 0.391
0.835 0.391 0.391
0.391 0.391 0.835
0.268 0.810 0.810
0.810 0.810 0.268
```

Values from the calculation:
* volume: 13.2 A^3/atom
* energy of formation from the pure elements: -3468 meV/atom
* symmetry: R-3m

---

6.
Below is crystalline K3Li5Al6Si10O30F6 at its relaxed geometry, with properties calculated at the PBE-GGA level.
-- stop --

-- Result --
1.
Below is crystalline K2AlF5 at its relaxed geometry, with properties calculated at the PBE-GGA level.

POSCAR file:
```
K2AlF5
1.0
6.037 0.000 0.000
0.000 6.037 0.000
0.000 0.000 3.752
K Al F
2 1 5
Direct
0.000 0.500 0.500
0.500 0.000 0.500
0.000 0.000 0.000
0.788 0.788 0.000
0.788 0.212 0.000
0.212 0.788 0.000
0.000 0.000 0.500
0.212 0.212 0.000
```

Values from the calculation:
* volume: 17.1 A^3/atom
* energy of formation from the pure elements: -3514 meV/atom
* symmetry: P4/mmm

---

2.
Below is crystalline KAlF4 at its relaxed geometry, with properties calculated at the PBE-GGA level.

POSCAR file:
```
KAlF4
1.0
7.359 0.000 0.000
0.000 8.389 0.000
0.000 0.000 12.089
K Al F
8 8 32
Direct
0.250 0.575 0.605
0.250 0.075 0.895
0.750 0.425 0.395
0.750 0.925 0.105
0.250 0.627 0.250
0.250 0.127 0.250
0.750 0.373 0.750
0.750 0.873 0.750
0.496 0.131 0.582
0.004 0.631 0.918
0.996 0.869 0.418
0.504 0.369 0.082
0.504 0.869 0.418
0.996 0.369 0.082
0.004 0.131 0.582
0.496 0.631 0.918
0.505 0.095 0.428
0.995 0.595 0.072
0.005 0.905 0.572
0.495 0.405 0.928
0.495 0.905 0.572
0.005 0.405 0.928
0.995 0.095 0.428
0.505 0.595 0.072
0.499 0.121 0.728
0.001 0.621 0.772
0.999 0.879 0.272
0.501 0.379 0.228
0.501 0.879 0.272
0.999 0.379 0.228
0.001 0.121 0.728
0.499 0.621 0.772
0.511 0.339 0.567
0.989 0.839 0.933
0.011 0.661 0.433
0.489 0.161 0.067
0.489 0.661 0.433
0.011 0.161 0.067
0.989 0.339 0.567
0.511 0.839 0.933
0.750 0.117 0.585
0.750 0.617 0.915
0.250 0.883 0.415
0.250 0.383 0.085
0.250 0.134 0.571
0.250 0.634 0.929
0.750 0.866 0.429
0.750 0.366 0.071
```

Values from the calculation:
* volume: 15.5 A^3/atom
* energy of formation from the pure elements: -3645 meV/atom
* symmetry: Pnma

---

3.
Below is crystalline K2LiAlF6 at its relaxed geometry, with properties calculated at the PBE-GGA level.

POSCAR file:
```
K2LiAlF6
1.0
2.847 -4.931 0.000
2.847 4.931 0.000
0.000 0.000 13.931
K Li Al F
6 3 3 18
Direct
0.667 0.333 0.411
0.000 0.000 0.748
0.667 0.333 0.106
0.000 0.000 0.252
0.333 0.667 0.589
0.333 0.667 0.894
0.667 0.333 0.857
0.333 0.667 0.143
0.000 0.000 0.500
0.333 0.667 0.339
0.667 0.333 0.661
0.000 0.000 0.000
0.306 0.153 0.924
0.481 0.519 0.258
0.519 0.481 0.742
0.694 0.847 0.076
0.180 0.359 0.413
0.153 0.306 0.076
0.820 0.180 0.587
0.180 0.820 0.413
0.847 0.694 0.924
0.481 0.962 0.258
0.519 0.038 0.742
0.038 0.519 0.258
0.962 0.481 0.742
0.847 0.153 0.924
0.359 0.180 0.587
0.641 0.820 0.413
0.820 0.641 0.587
0.153 0.847 0.076
```

Values from the calculation:
* volume: 13.0 A^3/atom
* energy of formation from the pure elements: -3468 meV/atom
* symmetry: P-3m1

---

4.
Below is crystalline K2LiAlF6 at its relaxed geometry, with properties calculated at the PBE-GGA level.

POSCAR file:
```
K2LiAlF6
1.0
0.534 -2.872 4.827
4.573 -3.180 0.900
3.835 1.591 3.820
K Li Al F
2 1 1 6
Direct
0.250 0.250 0.250
0.750 0.750 0.750
0.500 0.500 0.500
0.000 0.000 0.000
0.769 0.769 0.231
0.231 0.769 0.769
0.231 0.231 0.769
0.769 0.231 0.769
0.231 0.769 0.231
0.769 0.231 0.231
```

Values from the calculation:
* volume: 12.7 A^3/atom
* energy of formation from the pure elements: -3467 meV/atom
* symmetry: Fm-3m

---

5.
Below is crystalline K2LiAlF6 at its relaxed geometry, with properties calculated at the PBE-GGA level.

POSCAR file:
```
K2LiAlF6
1.0
9.487 -2.858 0.000
9.487 2.858 0.000
8.626 0.000 4.874
K Li Al F
4 2 2 12
Direct
0.720 0.720 0.720